The Soul of an Octopus:
A Surprising Exploration Into the Wonder of Consciousness
Atria Books, ISBN 1451697716
An Excerpt from Chapter 1
[Misplaced records of crystals]
# 1
Tl11Bi4: calculated PXRD pattern (a wavelength of 1.5418 Å), based on the PBE geometry in Alexandria.
Neutral-atom scattering factors, no anomalous dispersion.

Atomic structure:
```
30
Lattice="12.1134 0.0000 0.0000 0.0000 12.1134 0.0000 0.0000 0.0000 6.5310" Properties=species:S:1:pos:R:3 pbc="T T T"
Tl 0.0000 0.0000 0.0000
Tl 0.8151 3.2770 0.0000
Tl 1.1959 1.1959 3.2655
Tl 2.2148 9.8987 1.6313
Tl 2.2148 9.8987 4.8997
Tl 2.7797 6.8718 3.2655
Tl 3.2770 0.8151 0.0000
Tl 3.8420 3.8420 1.6342
Tl 3.8420 3.8420 4.8968
Tl 4.8608 7.2527 0.0000
Tl 5.2416 9.3337 3.2655
Tl 6.0567 6.0567 3.2655
Tl 6.8718 2.7797 3.2655
Tl 7.2527 4.8608 0.0000
Tl 8.2715 8.2715 1.6342
Tl 8.2715 8.2715 4.8968
Tl 8.8365 11.2983 0.0000
Tl 9.3337 5.2416 3.2655
Tl 9.8987 2.2148 1.6313
Tl 9.8987 2.2148 4.8997
Tl 10.9175 10.9175 3.2655
Tl 11.2983 8.8365 0.0000
Bi 0.5526 4.4300 3.2655
Bi 1.6267 6.6093 0.0000
Bi 4.4300 0.5526 3.2655
Bi 5.5041 10.4867 0.0000
Bi 6.6093 1.6267 0.0000
Bi 7.6834 11.5608 3.2655
Bi 10.4867 5.5041 0.0000
Bi 11.5608 7.6834 3.2655
```

Top 8 peaks for 15 to 90 degrees two-theta, in order of falling intensity:
two_theta	intensity
30.43	100
33.44	94
32.00	74
34.28	55
31.33	38
31.12	37
65.39	29
52.30	27

=====

# 2
YBeSi2Pt: calculated PXRD pattern (a wavelength of 1.5418 Å), based on the PBE geometry in Alexandria.
Neutral-atom scattering factors, no anomalous dispersion.

Atomic structure:
```
5
Lattice="-1.9714 1.9714 5.1189 1.9714 -1.9714 5.1189 1.9714 1.9714 -5.1189" Properties=species:S:1:pos:R:3 pbc="T T T"
Y 0.0000 0.0000 0.0000
Be 0.0000 1.9714 2.5594
Si 0.0000 0.0000 3.9397
Si 0.0000 0.0000 6.2980
Pt 1.9714 0.0000 2.5594
```

Top 8 peaks for 15 to 90 degrees two-theta, in order of falling intensity:
two_theta	intensity
24.19	100
36.71	83
34.77	54
46.04	30
52.67	25
58.96	24
50.21	21
79.05	18

=====

# 3
Tb2SmHo9: calculated PXRD pattern (a wavelength of 1.5418 Å), based on the PBE geometry in Alexandria.
Neutral-atom scattering factors, no anomalous dispersion.

Atomic structure:
```
12
Lattice="5.0038 0.0000 0.0000 0.0000 5.0038 0.0000 0.0000 0.0000 15.0088" Properties=species:S:1:pos:R:3 pbc="T T T"
Tb 0.0000 0.0000 2.4944
Tb 0.0000 0.0000 12.5144
Sm 0.0000 0.0000 7.5044
Ho 0.0000 2.5019 0.0000
Ho 0.0000 2.5019 4.9867
Ho 0.0000 2.5019 10.0222
Ho 2.5019 0.0000 0.0000
Ho 2.5019 0.0000 4.9867
Ho 2.5019 0.0000 10.0222
Ho 2.5019 2.5019 2.4898
Ho 2.5019 2.5019 7.5044
Ho 2.5019 2.5019 12.5190
```

Top 8 peaks for 15 to 90 degrees two-theta, in order of falling intensity:
two_theta	intensity
30.96	100
35.90	51
61.46	43
51.67	36
84.38	18
87.11	17
64.52	12
76.09	6

=====

# 4
Sm3GeI3: calculated PXRD pattern (a wavelength of 1.5418 Å), based on the PBE geometry in Alexandria.
Neutral-atom scattering factors, no anomalous dispersion.

Atomic structure:
```
14
Lattice="9.0342 0.0000 0.0000 0.0000 4.3168 0.0000 -0.0888 0.0000 12.4255" Properties=species:S:1:pos:R:3 pbc="T T T"
Sm 0.8669 1.0792 4.7758
Sm 0.9933 1.0792 10.4822
Sm 2.8824 3.2376 7.7232
[The page goes on]
On a rare, warm day in mid-March, when back in New Hampshire the snow was melting into mud, and in Boston, everyone else was strolling along the harbor or sitting on benches licking ice cream cones, I quit the blessed sunlight for the moist, dim sanctuary of the New England Aquarium. I had a date with a giant Pacific octopus.
Misplaced crystal structures:
=====
Record 1
Diffraction record for CrCl3O. The X-ray powder pattern is theoretical, not measured: it uses a DFT-relaxed cell (PBE+U, the Materials Project) and Cu Kα (λ = 1.5418 Å).

a b c (Å): 5.9560 14.5270 12.1601
angles (deg): 90.00 99.35 90.00
Space group P2_1/c (No. 14)
Inequivalent atoms, fractional coordinates:
Cr  0.0415  0.2021  0.2328
Cr  0.4453  0.0098  0.2792
Cl  0.0774  0.7254  0.6295
Cl  0.1419  0.0651  0.1449
Cl  0.2117  0.5258  0.1229
Cl  0.3056  0.6859  0.3603
Cl  0.3439  0.1467  0.3667
Cl  0.4278  0.0611  0.8570
O  0.1515  0.2220  0.6669
O  0.3320  0.5671  0.8423

Principal peaks in the range 10° ≤ 2θ ≤ 90°, by angle:
2theta	d (Å)	I_rel
14.25	6.214	47
14.77	5.999	100
19.43	4.569	75
22.93	3.878	49
35.16	2.553	51
36.16	2.484	37

Record 2
Diffraction record for CrClO. The X-ray powder pattern is theoretical, not measured: it uses a DFT-relaxed cell (PBE+U, the Materials Project) and Cu Kα (λ = 1.5418 Å).

a b c (Å): 3.2486 3.9399 8.5067
angles (deg): 90.00 90.00 90.00
Space group Pmmn (No. 59, origin choice 2)
Inequivalent atoms, fractional coordinates:
Cr  0.2500  0.2500  0.1010
Cl  0.2500  0.7500  0.6972
O  0.2500  0.7500  0.0488

Principal peaks in the range 10° ≤ 2θ ≤ 90°, by angle:
2theta	d (Å)	I_rel
10.40	8.507	100
24.91	3.575	42
34.75	2.582	31
37.40	2.404	11
42.31	2.136	17
58.98	1.566	11

Record 3
Diffraction record for Cr3Si3Pb10Cl2O24. The X-ray powder pattern is theoretical, not measured: it uses a DFT-relaxed cell (PBE+U, the Materials Project) and Cu Kα (λ = 1.5418 Å).

a b c (Å): 10.3150 7.4578 10.3588
angles (deg): 90.00 119.85 90.00
Space group Pm (No. 6)
Inequivalent atoms, fractional coordinates:
Cr  0.0000  0.0000  0.0000
Cr  0.0297  0.5000  0.6255
Cr  0.3732  0.5000  0.4090
Si  0.4307  0.0000  0.6490
Si  0.7916  0.0000  0.4455
Si  0.8161  0.5000  0.0582
Pb  0.0510  0.2369  0.3555
Pb  0.1502  0.0000  0.7603
Pb  0.1554  0.5000  0.0418
Pb  0.4454  0.5000  0.7956
Pb  0.4547  0.0000  0.2985
Pb  0.6357  0.0000  0.0091
Pb  0.6612  0.5000  0.2542
Pb  0.7182  0.2449  0.6898
Cl  0.4024  0.2541  0.0243
O  0.0013  0.5000  0.1374
O  0.0530  0.1799  0.9439
O  0.0666  0.0000  0.1842
O  0.1386  0.3198  0.6741
O  0.2472  0.0000  0.5467
O  0.2888  0.5000  0.5112
O  0.3157  0.3218  0.2978
O  0.5015  0.1778  0.7603
O  0.5224  0.0000  0.5526
O  0.5600  0.5000  0.5221
O  0.6792  0.1770  0.3940
O  0.7266  0.5000  0.8734
O  0.7719  0.3219  0.1254
O  0.8114  0.0000  0.9086
O  0.8928  0.0000  0.6304
O  0.9034  0.0000  0.3726
O  0.9217  0.5000  0.7023
O  0.9301  0.5000  0.4370

Principal peaks in the range 10° ≤ 2θ ≤ 90°, by angle:
2theta	d (Å)	I_rel
19.83	4.478	32
20.91	4.249	39
28.93	3.087	65
29.53	3.025	100
29.97	2.982	31
45.25	2.004	29

Record 4
Diffraction record for Rb2CrCl5O. The X-ray powder pattern is theoretical, not measured: it uses a DFT-relaxed cell (PBE+U, the Materials Project) and Cu Kα (λ = 1.5418 Å).

a b c (Å): 14.1521 10.1942 7.1388
angles (deg): 90.00 90.00 90.00
Space group Pnma (No. 62)
=====
So much for the crystal structures:
Her name was Athena, but I didn’t know that then. I knew little about octopuses—not even that the correct plural is not octopi, as I had always believed (it turns out you can’t put a Latin ending—i—on a word derived from the Greek, like octopus). But what I did know intrigued me. Here is an animal that has venom like a snake, a beak like a parrot, and ink like an old-fashioned pen. It can weigh as much as a man and stretch as long as a car, yet can pour its baggy, boneless body through an opening the size of an orange. It can change color and shape. It can taste with its skin. Most fascinating of all, I had read that octopuses are smart. This bore out what scant experience I had already had; like many who visit octopuses in public aquaria, I’ve often had the feeling the octopus I was watching was watching me back, with an interest as keen as my own.
And not only are octopuses on the opposite side of the great vertebral divide that separates the backboned creatures like mammals, birds, reptiles, amphibians, and fish from everything else; they are classed within the invertebrates as mollusks, like slugs and snails and clams, animals who are not particularly renowned for their intellect. Clams don’t even have brains.
The lineage that would lead to octopuses and the one leading to humans separated more than half a billion years ago. Was it possible, I wondered, to touch another mind on the other side of that divide?
Octopuses represent the great mystery of the Other. They seem completely alien, and yet their world—the ocean—comprises far more of the earth (70 percent of its surface area; more than 90 percent of its habitable space) than the land.
Most animals on this planet live in the ocean. And most of them are invertebrates like Athena.
That was why I wanted to meet the octopus. I wanted to touch an alternate reality. I wanted to explore a different kind consciousness, if such a thing exists. What is it like to be an octopus? Is it anything like being a human? Is it even possible to know?
So when the aquarium’s director of public relations, Tony LaCasse, met me in the lobby, and offered to introduce me to Athena, I felt like a privileged visitor to another world. But what I began to discover that day, after half a century of life on this earth, and much of it as a naturalist, was my own, sweet, blue planet—a world breathtakingly alien, startling and wondrous, a world in which I would at last feel fully at home.
Materials data that have nothing to do with the text >
'''
Diffraction record for Li4Mn3CrO8. The powder diffraction line list is simulated, not measured: it uses a crystal structure in the Materials Project, relaxed with GGA+U and Cu Ka.
Neutral-atom scattering factors, no anomalous dispersion.

The 8 most intense peaks (15 to 90 degrees two-theta), sorted by position:
2theta, I (rel.), index
18.18, 1000, 2 0 -1
33.52, 195, 2 0 1
35.80, 245, 0 2 1
36.84, 125, 4 0 -2
40.34, 333, 4 0 0
43.78, 510, 2 2 -2
60.71, 161, 2 2 2
61.35, 154, 6 2 -2

```
data_Li4Mn3CrO8
_cell_length_a 10.6355
_cell_length_b 5.8229
_cell_length_c 5.8762
_cell_angle_alpha 90.00
_cell_angle_beta 122.76
_cell_angle_gamma 90.00
_space_group_name_H-M_alt 'C 1 2/m 1'
_space_group_IT_number 12
loop_
_space_group_symop_operation_xyz
'x,y,z'
'-x,-y,-z'
'-x,y,-z'
'x,-y,z'
'x+1/2,y+1/2,z'
'-x+1/2,-y+1/2,-z'
'-x+1/2,y+1/2,-z'
'x+1/2,-y+1/2,z'
loop_
_atom_site_label
_atom_site_type_symbol
_atom_site_fract_x
_atom_site_fract_y
_atom_site_fract_z
_atom_site_occupancy
Li1 Li 0.0000 0.0000 0.0000 1
Li2 Li 0.0000 0.5000 0.0000 1
Li3 Li 0.2500 0.2500 0.5000 1
Mn1 Mn 0.0000 0.0000 0.5000 1
Mn2 Mn 0.2500 0.2500 0.0000 1
Cr1 Cr 0.0000 0.5000 0.5000 1
O1 O 0.0025 0.2427 0.2703 1
O2 O 0.2306 0.5000 0.7485 1
O3 O 0.2430 0.5000 0.2156 1
```

Diffraction record for ZnCoP2H12O11. The powder diffraction line list is simulated, not measured: it uses a crystal structure in the Materials Project, relaxed with GGA+U and Cu Ka.
Neutral-atom scattering factors, no anomalous dispersion.

The 8 most intense peaks (15 to 90 degrees two-theta), sorted by position:
2theta, I (rel.), index
23.09, 445, 0 2 0
23.48, 442, 2 0 0
25.05, 627, 1 1 -2
25.15, 1000, 1 -1 2
27.23, 448, 2 1 1
27.67, 583, 2 1 -1
27.95, 781, -1 2 1
37.78, 322, 0 0 4

```
data_ZnCoP2H12O11
_cell_length_a 7.5858
_cell_length_b 7.7113
_cell_length_c 9.5289
_cell_angle_alpha 88.88
_cell_angle_beta 88.93
_cell_angle_gamma 87.62
_space_group_name_H-M_alt 'P -1'
_space_group_IT_number 2
loop_
_space_group_symop_operation_xyz
'x,y,z'
'-x,-y,-z'
loop_
_atom_site_label
_atom_site_type_symbol
_atom_site_fract_x
_atom_site_fract_y
_atom_site_fract_z
_atom_site_occupancy
Zn1 Zn 0.0007 0.0038 0.2515 1
Co1 Co 0.0000 0.5000 0.5000 1
Co2 Co 0.5000 0.0000 0.0000 1
P1 P 0.1253 0.7769 0.9915 1
P2 P 0.2283 0.1131 0.4860 1
H1 H 0.0394 0.3805 0.7722 1
H2 H 0.0413 0.5868 0.7633 1
H3 H 0.2090 0.6099 0.9882 1
H4 H 0.2346 0.7381 0.4349 1
H5 H 0.2472 0.2325 0.0937 1
H6 H 0.3368 0.5634 0.3919 1
H7 H 0.3752 0.5228 0.7070 1
H8 H 0.3887 0.0928 0.7429 1
H9 H 0.4002 0.1765 0.4720 1
H10 H 0.4023 0.9188 0.2658 1
H11 H 0.4254 0.3143 0.1431 1
H12 H 0.4909 0.3912 0.7924 1
O1 O 0.0114 0.2215 0.1309 1
O2 O 0.0354 0.7885 0.1380 1
O3 O 0.0835 0.4805 0.7143 1
O4 O 0.0921 0.2559 0.4522 1
O5 O 0.2179 0.0391 0.6380 1
O6 O 0.2182 0.9671 0.3747 1
O7 O 0.2514 0.6139 0.4613 1
O8 O 0.2566 0.9154 0.9624 1
O9 O 0.3758 0.2366 0.0742 1
O10 O 0.4945 0.5058 0.7456 1
O11 O 0.4967 0.1234 0.7943 1
```
'''
Tony tells me that Athena’s lead keeper, senior aquarist Bill Murphy, isn’t in. My heart sinks; not just anyone can open up the octopus tank, and that’s for good reason. A giant Pacific octopus—the largest of the world’s 250 or so octopus species—can easily overpower a person. Just one of a big male’s three-inch-diameter suckers can lift 30 pounds, and a giant Pacific has 1600 of them. Also, octopuses can bite, and they can inject a neurotoxic venom, as well as saliva with the ability to dissolve flesh. Worst of all, they can take the opportunity of an open tank to escape, and an escaped octopus is a big problem for both the octopus and the aquarium.
Happily, Tony finds another senior aquarist who is familiar with octopus to help me. Scott Dowd, a big guy in his early 40s with a silvery beard and twinkling blue eyes, is the senior aquarist for the Freshwater Gallery down the hall from Cold Marine, where Athena lives. Scott first came to the aquarium in diapers on its opening day, June 20, 1969, and basically never left. He knows almost every animal in the aquarium personally.
Athena, Scott explains, is about two and a half years old, and weighs about 40 pounds. He lifts the heavy lid covering her tank. I mount the three short steps of a small moveable stair and lean over to see. She stretches about five feet long. Her head–by ‘head,’ I mean both the actual head and the mantle, or body, because that’s where we mammals expect an animal’s head to be— is about the size of a small watermelon. “Or at least a honeydew,” says Scott, staying with the fruit theme. “When she first came, it was the size of a grapefruit.” The giant Pacific octopus is one of the fastest-growing animals on the planet. Hatching from an egg the size of a grain of rice, one can grow both longer and heavier than a man in three years.
By the time Scott has propped the tank cover open, Athena has already oozed from the far corner of her 560-gallon tank to investigate us. Still holding to the corner with two arms, she unfurls the others, red with excitement, and reaches to the surface. Her white suckers face up, like a person extending a palm for a handshake. “May I touch her?” I ask Scott. “Sure,” he says. I take off my wrist watch, remove my scarf, roll up my sleeves and plunge both arms elbow-deep into the shockingly cold, 47-degree F. water.
Twisting, gelatinous, her arms boil up from the water, reaching for mine. Instantly both my hands and forearms are engulfed with dozens of soft, questing suckers.
It occurred to me later that not everyone would like this. The naturalist and explorer William Beebe found the touch of the octopus repulsive. “I have always a struggle before I can make my hands do their duty and seize a tentacle,” he confessed. Victor Hugo imagined such an event an unmitigated horror leading to certain doom. “The spectre lies upon you; the tiger can only devour you; the devil-fish, horrible, sucks your life blood away,” Hugo wrote in Toilers of the Sea. “The muscles swell, the fibres of the body are contorted, the skin cracks under the loathsome oppression, the blood spurts out and mingles horribly with the lymph of the monster, which clings to the victim with innumerable hideous mouths….” Fear of the octopus lies deep in the human psyche. “No animal is more savage in causing the death of man in the water,” Pliny the Elder wrote in Naturalis Historia, circa AD 79, “for it struggles with him by coiling round him and it swallows him with sucker-cups and drags him asunder…”
Photo © by Tianne Strombeck
“She’s looking right at you,” Scott says.
As I hold her lidless, silvery gaze, I instinctively reach to touch her head. “Supple as leather, tough as steel, cold as night,” Hugo wrote of the octopus’ flesh; but to my surprise, her head is silky, and softer than custard. Her skin is flecked with ruby and silver, a night sky reflected on the wine-dark sea. As I stroke her with my fingertips, her skin goes white beneath my touch. Later, I learn this is the color of a relaxed octopus; in cuttlefish, close relatives of octopus, females turn white when they encounter a fellow female, someone who they need not fight or flee.
It is possible, I later learn, that Athena, in fact, knows I am a female. Though octopuses can taste with all their bodies, this sense is most exquisitely developed in the suckers. Hers is an exceptionally intimate embrace: she is at once touching and tasting my skin, and possibly the muscle, bone and blood beneath. Female octopuses, like us, possess estrogen; she could be tasting and recognizing mine. Though we have only just met, Athena already knows me in a way no being has known me before.
And she seems curious to know more—as curious about me as I am about her. Slowly, she is transferring her grip on me from the smaller, outer suckers at the tips of her arms to the larger, stronger ones, nearer her head. I am now bent at a 90 degree angle, folded like a half-open book, as I stand on the little stepstool. I realize what is happening: she is pulling me steadily into her tank.
How happily I would go with her! But alas, I know I would not fit. Her lair is beneath a rocky overhang, into which she can flow like water, but I cannot, constrained as I am by bones and joints. The water in her tank would come to chest-height on me, if I were standing up; but the way she is pulling me, I would instead be upside down, head first in the water, and soon facing the limitations of my air-hungry lungs. I ask Scott if I should try to detach from her grip. Gently he pulls us apart, her suckers making popping sounds like small plungers as my skin is released.